Activity
The reader should retype the block underneath word for word.
Contents
┌──
# Ir4PtRh7
Computed X-ray diffraction stick pattern, Cu Kα X-rays. Input: a crystal structure in Alexandria, relaxed with PBE.
Kinematic intensities with the Lorentz-polarization factor, no thermal factor.

Structure:
abc: 4.7314 5.4551 7.2284
angles: 100.95 109.04 90.01
Element x y z (fractional)
1 Ir 0.1627 0.1680 0.1638
2 Ir 0.3353 0.5845 0.8329
3 Ir 0.6647 0.4155 0.1671
4 Ir 0.8373 0.8320 0.8362
5 Pt 0.5000 0.0000 0.5000
6 Rh 0.0040 0.2534 0.4993
7 Rh 0.1660 0.6643 0.1636
8 Rh 0.3320 0.0838 0.8368
9 Rh 0.5000 0.5000 0.5000
10 Rh 0.6680 0.9162 0.1632
11 Rh 0.8340 0.3357 0.8364
12 Rh 0.9960 0.7466 0.5007

The 6 most intense peaks (2θ = 15–90°), by angle:
(hkl)  two_theta  intensity
1 2 0  40.5  100.0
2 0 1  47.0  32.6
-1 2 2  47.1  16.1
1 2 3  68.7  26.0
3 2 1  82.8  15.7
2 4 -3  83.0  15.7

# Er8AsSe6
Computed X-ray diffraction stick pattern, Cu Kα X-rays. Input: a crystal structure in Alexandria, relaxed with PBE.
Kinematic intensities with the Lorentz-polarization factor, no thermal factor.

Structure:
abc: 10.2713 10.2713 4.0397
angles: 90.00 90.00 120.00
Element x y z (fractional)
1 Er 0.0306 0.7251 0.2590
2 Er 0.2749 0.3055 0.2590
3 Er 0.3055 0.0306 0.7410
4 Er 0.3333 0.6667 0.7465
5 Er 0.6667 0.3333 0.2535
6 Er 0.6945 0.9694 0.2590
7 Er 0.7251 0.6945 0.7410
8 Er 0.9694 0.2749 0.7410
9 As 0.0000 0.0000 0.5000
10 Se 0.1289 0.4791 0.2471
11 Se 0.3502 0.8711 0.2471
12 Se 0.4791 0.3502 0.7529
13 Se 0.5209 0.6498 0.2471
14 Se 0.6498 0.1289 0.7529
15 Se 0.8711 0.5209 0.7529

The 6 most intense peaks (2θ = 15–90°), by angle:
(hkl)  two_theta  intensity
2 -1 1  28.1  57.8
2 0 1  29.9  48.6
3 0 0  30.1  73.1
3 -2 1  34.7  100.0
2 2 1  41.7  48.3
2 3 1  50.1  39.2

# Li3Ge2Pd4
Computed X-ray diffraction stick pattern, Cu Kα X-rays. Input: a crystal structure in Alexandria, relaxed with PBE.
Kinematic intensities with the Lorentz-polarization factor, no thermal factor.

Structure:
abc: 4.2656 4.2656 8.0713
angles: 90.00 90.00 120.00
Element x y z (fractional)
1 Li 0.0000 0.0000 0.0000
2 Li 0.3333 0.6667 0.4457
3 Li 0.6667 0.3333 0.5543
4 Ge 0.3333 0.6667 0.7797
5 Ge 0.6667 0.3333 0.2203
6 Pd 0.0000 0.0000 0.3190
7 Pd 0.0000 0.0000 0.6810
8 Pd 0.3333 0.6667 0.1063
9 Pd 0.6667 0.3333 0.8937

The 6 most intense peaks (2θ = 15–90°), by angle:
(hkl)  two_theta  intensity
0 1 1  26.5  62.8
1 0 2  32.9  28.1
0 1 3  41.5  100.0
1 1 0  42.4  97.1
2 0 3  60.8  31.7
1 2 3  76.9  31.4


This entry pairs a crystal structure of Tl5AgBr7 with its simulated X-ray powder pattern. Radiation: a wavelength of 1.5418 Å. Structure: a PBE-relaxed structure.
Kinematic intensities with the Lorentz-polarization factor, no thermal factor.

Cell and atoms:
a b c (Å): 8.3137 8.3137 27.3392
angles (deg): 94.73 94.73 30.75
Fractional coordinates of all 26 atoms:
Tl: 0.0000 0.0000 0.0000
Tl: 0.0014 0.0014 0.4995
Tl: 0.2757 0.2757 0.9141
Tl: 0.2924 0.2924 0.5718
Tl: 0.4228 0.4228 0.3393
Tl: 0.4670 0.4670 0.1496
Tl: 0.5355 0.5355 0.8454
Tl: 0.5803 0.5803 0.6614
Tl: 0.7098 0.7098 0.4274
Tl: 0.7279 0.7279 0.0723
Ag: 0.1509 0.1509 0.2938
Ag: 0.8490 0.8490 0.7041
Br: 0.0642 0.0642 0.3865
Br: 0.1005 0.1005 0.1069
Br: 0.1426 0.1426 0.8147
Br: 0.2398 0.2398 0.6838
Br: 0.3609 0.3609 0.4567
Br: 0.3640 0.3640 0.0274
Br: 0.4368 0.4368 0.7528
Br: 0.5587 0.5587 0.2552
Br: 0.6327 0.6327 0.9449
Br: 0.6422 0.6422 0.5479
Br: 0.7639 0.7639 0.3173
Br: 0.8360 0.8360 0.1687
Br: 0.9185 0.9185 0.8802
Br: 0.9391 0.9391 0.6189

Most intense lines, 15 to 90 degrees two-theta, sorted by position:
d/Å, Position (°2θ), Rel. int.
3.810, 23.3, 57
3.344, 26.7, 100
3.254, 27.4, 71
3.237, 27.6, 96
2.495, 36.0, 29
2.402, 37.4, 29
2.318, 38.9, 31
2.317, 38.9, 36
2.270, 39.7, 35
2.204, 40.9, 60

This entry pairs a crystal structure of Pm6HgSb5 with its simulated X-ray powder pattern. Radiation: a wavelength of 1.5418 Å. Structure: a PBE-relaxed structure.
Kinematic intensities with the Lorentz-polarization factor, no thermal factor.

Cell and atoms:
a b c (Å): 7.7533 7.7533 7.7744
└──
Here it is
# Ir4PtRh7
Computed X-ray diffraction stick pattern, Cu Kα X-rays. Input: a crystal structure in Alexandria, relaxed with PBE.
Kinematic intensities with the Lorentz-polarization factor, no thermal factor.

Structure:
abc: 4.7314 5.4551 7.2284
angles: 100.95 109.04 90.01
Element x y z (fractional)
1 Ir 0.1627 0.1680 0.1638
2 Ir 0.3353 0.5845 0.8329
3 Ir 0.6647 0.4155 0.1671
4 Ir 0.8373 0.8320 0.8362
5 Pt 0.5000 0.0000 0.5000
6 Rh 0.0040 0.2534 0.4993
7 Rh 0.1660 0.6643 0.1636
8 Rh 0.3320 0.0838 0.8368
9 Rh 0.5000 0.5000 0.5000
10 Rh 0.6680 0.9162 0.1632
11 Rh 0.8340 0.3357 0.8364
12 Rh 0.9960 0.7466 0.5007

The 6 most intense peaks (2θ = 15–90°), by angle:
(hkl)  two_theta  intensity
1 2 0  40.5  100.0
2 0 1  47.0  32.6
-1 2 2  47.1  16.1
1 2 3  68.7  26.0
3 2 1  82.8  15.7
2 4 -3  83.0  15.7

# Er8AsSe6
Computed X-ray diffraction stick pattern, Cu Kα X-rays. Input: a crystal structure in Alexandria, relaxed with PBE.
Kinematic intensities with the Lorentz-polarization factor, no thermal factor.

Structure:
abc: 10.2713 10.2713 4.0397
angles: 90.00 90.00 120.00
Element x y z (fractional)
1 Er 0.0306 0.7251 0.2590
2 Er 0.2749 0.3055 0.2590
3 Er 0.3055 0.0306 0.7410
4 Er 0.3333 0.6667 0.7465
5 Er 0.6667 0.3333 0.2535
6 Er 0.6945 0.9694 0.2590
7 Er 0.7251 0.6945 0.7410
8 Er 0.9694 0.2749 0.7410
9 As 0.0000 0.0000 0.5000
10 Se 0.1289 0.4791 0.2471
11 Se 0.3502 0.8711 0.2471
12 Se 0.4791 0.3502 0.7529
13 Se 0.5209 0.6498 0.2471
14 Se 0.6498 0.1289 0.7529
15 Se 0.8711 0.5209 0.7529

The 6 most intense peaks (2θ = 15–90°), by angle:
(hkl)  two_theta  intensity
2 -1 1  28.1  57.8
2 0 1  29.9  48.6
3 0 0  30.1  73.1
3 -2 1  34.7  100.0
2 2 1  41.7  48.3
2 3 1  50.1  39.2

# Li3Ge2Pd4
Computed X-ray diffraction stick pattern, Cu Kα X-rays. Input: a crystal structure in Alexandria, relaxed with PBE.
Kinematic intensities with the Lorentz-polarization factor, no thermal factor.

Structure:
abc: 4.2656 4.2656 8.0713
angles: 90.00 90.00 120.00
Element x y z (fractional)
1 Li 0.0000 0.0000 0.0000
2 Li 0.3333 0.6667 0.4457
3 Li 0.6667 0.3333 0.5543
4 Ge 0.3333 0.6667 0.7797
5 Ge 0.6667 0.3333 0.2203
6 Pd 0.0000 0.0000 0.3190
7 Pd 0.0000 0.0000 0.6810
8 Pd 0.3333 0.6667 0.1063
9 Pd 0.6667 0.3333 0.8937

The 6 most intense peaks (2θ = 15–90°), by angle:
(hkl)  two_theta  intensity
0 1 1  26.5  62.8
1 0 2  32.9  28.1
0 1 3  41.5  100.0
1 1 0  42.4  97.1
2 0 3  60.8  31.7
1 2 3  76.9  31.4


This entry pairs a crystal structure of Tl5AgBr7 with its simulated X-ray powder pattern. Radiation: a wavelength of 1.5418 Å. Structure: a PBE-relaxed structure.
Kinematic intensities with the Lorentz-polarization factor, no thermal factor.

Cell and atoms:
a b c (Å): 8.3137 8.3137 27.3392
angles (deg): 94.73 94.73 30.75
Fractional coordinates of all 26 atoms:
Tl: 0.0000 0.0000 0.0000
Tl: 0.0014 0.0014 0.4995
Tl: 0.2757 0.2757 0.9141
Tl: 0.2924 0.2924 0.5718
Tl: 0.4228 0.4228 0.3393
Tl: 0.4670 0.4670 0.1496
Tl: 0.5355 0.5355 0.8454
Tl: 0.5803 0.5803 0.6614
Tl: 0.7098 0.7098 0.4274
Tl: 0.7279 0.7279 0.0723
Ag: 0.1509 0.1509 0.2938
Ag: 0.8490 0.8490 0.7041
Br: 0.0642 0.0642 0.3865
Br: 0.1005 0.1005 0.1069
Br: 0.1426 0.1426 0.8147
Br: 0.2398 0.2398 0.6838
Br: 0.3609 0.3609 0.4567
Br: 0.3640 0.3640 0.0274
Br: 0.4368 0.4368 0.7528
Br: 0.5587 0.5587 0.2552
Br: 0.6327 0.6327 0.9449
Br: 0.6422 0.6422 0.5479
Br: 0.7639 0.7639 0.3173
Br: 0.8360 0.8360 0.1687
Br: 0.9185 0.9185 0.8802
Br: 0.9391 0.9391 0.6189

Most intense lines, 15 to 90 degrees two-theta, sorted by position:
d/Å, Position (°2θ), Rel. int.
3.810, 23.3, 57
3.344, 26.7, 100
3.254, 27.4, 71
3.237, 27.6, 96
2.495, 36.0, 29
2.402, 37.4, 29
2.318, 38.9, 31
2.317, 38.9, 36
2.270, 39.7, 35
2.204, 40.9, 60

This entry pairs a crystal structure of Pm6HgSb5 with its simulated X-ray powder pattern. Radiation: a wavelength of 1.5418 Å. Structure: a PBE-relaxed structure.
Kinematic intensities with the Lorentz-polarization factor, no thermal factor.

Cell and atoms:
a b c (Å): 7.7533 7.7533 7.7744